• Given:
=====
1.
## RhCl3 (PBE)

Data for a geometry-optimized RhCl3 structure.

## Properties
**Symmetry**: No. 12
**Electronic total energy**: -30.8 eV/cell
**V**: 24.9 Å³/atom
**Energy of formation**: -4.3 eV per formula unit

The structure in POSCAR format:
```
RhCl3
1.0
3.047 -5.274 0.000
3.047 5.274 0.000
-2.030 0.000 6.197
Rh Cl
2 6
direct
0.167 0.833 0.000
0.833 0.167 0.000
0.076 0.429 0.788
0.217 0.217 0.212
0.429 0.076 0.788
0.571 0.924 0.212
0.783 0.783 0.788
0.924 0.571 0.212
```

2.
## Ce3TiAlS7 (PBE)

Data for a geometry-optimized Ce3TiAlS7 structure.

## Properties
**Symmetry**: No. 173
**Electronic total energy**: -158.3 eV/cell
**V**: 22.4 Å³/atom
**Energy of formation**: -24.3 eV per formula unit

The structure in POSCAR format:
```
Ce3TiAlS7
1.0
10.076 0.000 0.000
-5.038 8.726 0.000
0.000 0.000 6.111
Ce Ti Al S
6 2 2 14
direct
0.138 0.368 0.000
0.230 0.862 0.000
0.368 0.230 0.500
0.632 0.770 0.000
0.770 0.138 0.500
0.862 0.632 0.500
0.000 0.000 0.306
0.000 0.000 0.806
0.333 0.667 0.425
0.667 0.333 0.925
0.088 0.229 0.558
0.097 0.581 0.275
0.141 0.912 0.558
0.229 0.141 0.058
0.333 0.667 0.791
0.419 0.516 0.275
0.484 0.903 0.275
0.516 0.097 0.775
0.581 0.484 0.775
0.667 0.333 0.291
0.771 0.859 0.558
0.859 0.088 0.058
0.903 0.419 0.775
0.912 0.771 0.058
```

3.
## Cs2Se3 (PBE)

Data for a geometry-optimized Cs2Se3 structure.

## Properties
**Symmetry**: No. 36
**Electronic total energy**: -32.8 eV/cell
**V**: 40.8 Å³/atom
**Largest piezoelectric modulus**: 0.2 C/m²
**Energy of formation**: -5.5 eV per formula unit

The structure in POSCAR format:
```
Cs2Se3
1.0
4.063 -5.880 0.000
4.063 5.880 0.000
0.000 0.000 8.538
Cs Se
4 6
direct
0.083 0.917 0.500
0.402 0.598 0.719
0.598 0.402 0.219
0.917 0.083 0.000
0.101 0.427 0.345
0.292 0.708 0.186
0.427 0.101 0.845
0.573 0.899 0.345
0.708 0.292 0.686
0.899 0.573 0.845
```

4.
## Dy5B2O6F9 (PBE)

Data for a geometry-optimized Dy5B2O6F9 structure.

## Properties
**Symmetry**: No. 15
**Electronic total energy**: -327.6 eV/cell
**V**: 11.7 Å³/atom
**Energy of formation**: -88.8 eV per formula unit

The structure in POSCAR format:
```
Dy5B2O6F9
1.0
10.293 -3.069 0.000
10.293 3.069 0.000
-1.454 0.000 8.170
Dy B O F
10 4 12 18
direct
0.076 0.313 0.319
0.109 0.891 0.750
0.280 0.501 0.096
0.313 0.076 0.819
0.499 0.720 0.404
0.501 0.280 0.596
0.687 0.924 0.181
0.720 0.499 0.904
0.891 0.109 0.250
0.924 0.687 0.681
0.015 0.208 0.562
0.208 0.015 0.062
0.792 0.985 0.938
0.985 0.792 0.438
0.011 0.803 0.285
0.100 0.218 0.038
0.147 0.670 0.565
0.197 0.989 0.215
0.218 0.100 0.538
0.330 0.853 0.935
0.670 0.147 0.065
0.782 0.900 0.462
0.803 0.011 0.785
0.853 0.330 0.435
0.900 0.782 0.962
0.989 0.197 0.715
0.000 0.449 0.788
0.000 0.551 0.212
0.149 0.788 0.017
0.212 0.367 0.520
0.212 0.851 0.483
0.290 0.447 0.815
0.367 0.212 0.020
0.447 0.290 0.315
0.449 0.000 0.288
0.484 0.516 0.750
0.516 0.484 0.250
0.551 0.000 0.712
0.553 0.710 0.685
0.633 0.788 0.980
0.710 0.553 0.185
0.788 0.149 0.517
0.788 0.633 0.480
0.851 0.212 0.983
```

5.
## In5AgSe8 (PBE)

Data for a geometry-optimized In5AgSe8 structure.

## Properties
**Symmetry**: No. 111
**Electronic total energy**: -51.4 eV/cell
**V**: 30.0 Å³/atom
**Offset from the most stable computed form**: 2 meV per atom
**Energy of formation**: -10.6 eV per formula unit

The structure in POSCAR format:
```
In5AgSe8
1.0
5.901 0.000 0.000
0.000 5.901 0.000
0.000 0.000 12.049
In Ag Se
5 1 8
direct
0.000 0.000 0.000
0.000 0.500 0.254
0.000 0.500 0.746
0.500 0.000 0.254
0.500 0.000 0.746
0.500 0.500 0.500
0.227 0.227 0.618
0.227 0.773 0.382
0.273 0.273 0.113
0.273 0.727 0.887
0.727 0.273 0.887
0.727 0.727 0.113
0.773 0.227 0.382
0.773 0.773 0.618
```

6.
## Ca10Ge6F (PBE)

Data for a geometry-optimized Ca10Ge6F structure.

## Properties
**Symmetry**: No. 121
**Electronic total energy**: -65.3 eV/cell
**V**: 25.9 Å³/atom
**Energy of formation**: -16.1 eV per formula unit

The structure in POSCAR format:
```
Ca10Ge6F
1.0
-3.863 3.863 7.383
3.863 -3.863 7.383
=====
• Work order:
What is needed: duplicate the block further above with every line break kept.
• Worked solution:
1.
## RhCl3 (PBE)

Data for a geometry-optimized RhCl3 structure.

## Properties
**Symmetry**: No. 12
**Electronic total energy**: -30.8 eV/cell
**V**: 24.9 Å³/atom
**Energy of formation**: -4.3 eV per formula unit

The structure in POSCAR format:
```
RhCl3
1.0
3.047 -5.274 0.000
3.047 5.274 0.000
-2.030 0.000 6.197
Rh Cl
2 6
direct
0.167 0.833 0.000
0.833 0.167 0.000
0.076 0.429 0.788
0.217 0.217 0.212
0.429 0.076 0.788
0.571 0.924 0.212
0.783 0.783 0.788
0.924 0.571 0.212
```

2.
## Ce3TiAlS7 (PBE)

Data for a geometry-optimized Ce3TiAlS7 structure.

## Properties
**Symmetry**: No. 173
**Electronic total energy**: -158.3 eV/cell
**V**: 22.4 Å³/atom
**Energy of formation**: -24.3 eV per formula unit

The structure in POSCAR format:
```
Ce3TiAlS7
1.0
10.076 0.000 0.000
-5.038 8.726 0.000
0.000 0.000 6.111
Ce Ti Al S
6 2 2 14
direct
0.138 0.368 0.000
0.230 0.862 0.000
0.368 0.230 0.500
0.632 0.770 0.000
0.770 0.138 0.500
0.862 0.632 0.500
0.000 0.000 0.306
0.000 0.000 0.806
0.333 0.667 0.425
0.667 0.333 0.925
0.088 0.229 0.558
0.097 0.581 0.275
0.141 0.912 0.558
0.229 0.141 0.058
0.333 0.667 0.791
0.419 0.516 0.275
0.484 0.903 0.275
0.516 0.097 0.775
0.581 0.484 0.775
0.667 0.333 0.291
0.771 0.859 0.558
0.859 0.088 0.058
0.903 0.419 0.775
0.912 0.771 0.058
```

3.
## Cs2Se3 (PBE)

Data for a geometry-optimized Cs2Se3 structure.

## Properties
**Symmetry**: No. 36
**Electronic total energy**: -32.8 eV/cell
**V**: 40.8 Å³/atom
**Largest piezoelectric modulus**: 0.2 C/m²
**Energy of formation**: -5.5 eV per formula unit

The structure in POSCAR format:
```
Cs2Se3
1.0
4.063 -5.880 0.000
4.063 5.880 0.000
0.000 0.000 8.538
Cs Se
4 6
direct
0.083 0.917 0.500
0.402 0.598 0.719
0.598 0.402 0.219
0.917 0.083 0.000
0.101 0.427 0.345
0.292 0.708 0.186
0.427 0.101 0.845
0.573 0.899 0.345
0.708 0.292 0.686
0.899 0.573 0.845
```

4.
## Dy5B2O6F9 (PBE)

Data for a geometry-optimized Dy5B2O6F9 structure.

## Properties
**Symmetry**: No. 15
**Electronic total energy**: -327.6 eV/cell
**V**: 11.7 Å³/atom
**Energy of formation**: -88.8 eV per formula unit

The structure in POSCAR format:
```
Dy5B2O6F9
1.0
10.293 -3.069 0.000
10.293 3.069 0.000
-1.454 0.000 8.170
Dy B O F
10 4 12 18
direct
0.076 0.313 0.319
0.109 0.891 0.750
0.280 0.501 0.096
0.313 0.076 0.819
0.499 0.720 0.404
0.501 0.280 0.596
0.687 0.924 0.181
0.720 0.499 0.904
0.891 0.109 0.250
0.924 0.687 0.681
0.015 0.208 0.562
0.208 0.015 0.062
0.792 0.985 0.938
0.985 0.792 0.438
0.011 0.803 0.285
0.100 0.218 0.038
0.147 0.670 0.565
0.197 0.989 0.215
0.218 0.100 0.538
0.330 0.853 0.935
0.670 0.147 0.065
0.782 0.900 0.462
0.803 0.011 0.785
0.853 0.330 0.435
0.900 0.782 0.962
0.989 0.197 0.715
0.000 0.449 0.788
0.000 0.551 0.212
0.149 0.788 0.017
0.212 0.367 0.520
0.212 0.851 0.483
0.290 0.447 0.815
0.367 0.212 0.020
0.447 0.290 0.315
0.449 0.000 0.288
0.484 0.516 0.750
0.516 0.484 0.250
0.551 0.000 0.712
0.553 0.710 0.685
0.633 0.788 0.980
0.710 0.553 0.185
0.788 0.149 0.517
0.788 0.633 0.480
0.851 0.212 0.983
```

5.
## In5AgSe8 (PBE)

Data for a geometry-optimized In5AgSe8 structure.

## Properties
**Symmetry**: No. 111
**Electronic total energy**: -51.4 eV/cell
**V**: 30.0 Å³/atom
**Offset from the most stable computed form**: 2 meV per atom
**Energy of formation**: -10.6 eV per formula unit

The structure in POSCAR format:
```
In5AgSe8
1.0
5.901 0.000 0.000
0.000 5.901 0.000
0.000 0.000 12.049
In Ag Se
5 1 8
direct
0.000 0.000 0.000
0.000 0.500 0.254
0.000 0.500 0.746
0.500 0.000 0.254
0.500 0.000 0.746
0.500 0.500 0.500
0.227 0.227 0.618
0.227 0.773 0.382
0.273 0.273 0.113
0.273 0.727 0.887
0.727 0.273 0.887
0.727 0.727 0.113
0.773 0.227 0.382
0.773 0.773 0.618
```

6.
## Ca10Ge6F (PBE)

Data for a geometry-optimized Ca10Ge6F structure.

## Properties
**Symmetry**: No. 121
**Electronic total energy**: -65.3 eV/cell
**V**: 25.9 Å³/atom
**Energy of formation**: -16.1 eV per formula unit

The structure in POSCAR format:
```
Ca10Ge6F
1.0
-3.863 3.863 7.383
3.863 -3.863 7.383